**Exercise:**
Next, write out every line underneath that contains the word "eV".
**File:**
********
(1)
# C41H52GeN5O6PdS2Si

A molecular structure, C41H52GeN5O6PdS2Si (ωB97M-V/def2-TZVPD, OMol25).

Results
LUMO level (spin up / spin down) = 3.83 / 3.83 eV
Expectation value of S² = 0.7544
Max |F| = 0.6 eV/Å
Energy above the lowest of the compared OMol25 structures with the same formula, charge and spin = 0.56 kcal/mol
Charge = -2
Spin multiplicity = 2
E = -5609.75653 hartree

XYZ file:
```
109
Properties=species:S:1:pos:R:3:mulliken_charge:R:1
Pd 0.134 -0.330 0.621 -0.0864
C -1.650 -1.163 -2.013 0.3010
C -2.665 -2.218 -1.607 1.7359
C -3.510 -1.725 -0.434 -1.4958
C -3.566 -2.580 -2.778 -2.0698
O -1.967 -3.424 -1.269 -0.0178
Si -1.337 -3.995 0.148 0.3901
S -0.158 -2.728 1.287 -0.6288
O -2.654 -4.582 0.974 -0.6763
C -2.877 -4.871 2.344 1.8145
C -1.666 -5.580 2.945 -1.5316
C -4.091 -5.793 2.376 -1.8260
C -3.175 -3.579 3.098 -1.2848
O -0.545 -5.380 -0.301 -0.3716
C 0.415 -5.599 -1.330 2.1370
C 1.308 -4.379 -1.537 -1.6981
C 1.253 -6.782 -0.867 -2.0154
C -0.331 -5.943 -2.616 -1.5819
H -2.152 -0.233 -2.292 0.6000
H -1.050 -1.512 -2.857 0.3674
H -0.987 -0.975 -1.164 -1.1972
H -4.149 -0.897 -0.755 0.5516
H -2.869 -1.376 0.380 0.0810
H -4.135 -2.538 -0.055 0.3262
H -4.105 -1.697 -3.133 0.3822
H -4.289 -3.344 -2.478 0.4317
H -2.962 -2.976 -3.598 0.4076
H -1.380 -6.422 2.308 0.2990
H -1.904 -5.952 3.946 0.5206
H -0.816 -4.896 3.009 0.1803
H -3.869 -6.725 1.850 0.3815
H -4.935 -5.309 1.879 0.3420
H -4.370 -6.023 3.408 0.4071
H -2.318 -2.905 3.040 0.0698
H -3.396 -3.795 4.149 0.4739
H -4.039 -3.080 2.651 0.2892
H 1.779 -4.088 -0.598 0.3042
H 0.728 -3.523 -1.894 0.2208
H 2.084 -4.607 -2.273 0.6275
H 1.803 -6.515 0.039 0.3863
H 1.967 -7.076 -1.641 0.3958
H 0.601 -7.630 -0.642 0.4047
H -0.996 -5.120 -2.882 0.0223
H -0.935 -6.843 -2.469 0.3864
H 0.373 -6.116 -3.435 0.4256
O -0.600 9.482 -3.067 -0.7105
S -1.103 8.319 -3.774 1.1935
O -0.088 7.400 -4.240 -0.6282
O -2.172 8.588 -4.717 -0.7196
C -1.971 7.411 -2.452 0.0082
N -2.986 8.065 -1.866 -0.5256
C -3.612 7.416 -0.898 -0.3857
C -3.255 6.142 -0.487 -0.7738
C -2.190 5.558 -1.150 -0.0055
N -1.555 6.189 -2.135 -0.0990
C -1.704 4.190 -0.806 1.8820
C -1.893 3.639 0.456 -1.2276
C -1.421 2.364 0.716 -0.6681
N -0.795 1.621 -0.201 0.4962
C -0.605 2.158 -1.407 -0.6451
C -1.036 3.428 -1.751 -1.0347
H -4.442 7.936 -0.426 0.3962
H -3.799 5.630 0.296 0.4182
H -2.364 4.204 1.250 0.3461
H -1.531 1.912 1.694 0.4156
H -0.068 1.542 -2.118 0.6348
H -0.837 3.844 -2.731 0.4926
C 3.551 -1.554 -0.489 -1.5819
Ge 2.469 -0.005 0.127 2.4603
C 3.780 0.773 1.447 -0.1954
C 5.076 1.096 1.033 -0.4415
C 6.023 1.598 1.918 -0.7183
C 5.693 1.791 3.256 -0.3797
C 4.409 1.489 3.691 -0.5818
C 3.468 0.990 2.792 0.1779
C 2.763 1.316 -1.358 -0.0318
C 3.180 0.899 -2.599 -0.3548
C 3.291 1.790 -3.698 -0.7633
C 2.960 3.106 -3.555 -1.1638
C 2.525 3.600 -2.297 1.8027
C 2.140 4.958 -2.135 -0.9859
C 1.732 5.429 -0.922 -0.2635
C 1.691 4.559 0.194 -1.2799
C 2.031 3.244 0.059 -0.4417
C 2.453 2.711 -1.193 0.1006
H 4.582 -1.256 -0.708 0.4160
H 3.116 -2.016 -1.380 0.2636
H 3.561 -2.308 0.304 0.3839
H 5.344 0.971 -0.014 0.1768
H 7.018 1.849 1.565 0.3623
H 6.431 2.179 3.950 0.3400
H 4.135 1.650 4.729 0.4030
H 2.460 0.786 3.143 0.1290
H 3.409 -0.151 -2.760 0.2867
H 3.629 1.417 -4.658 0.3914
H 3.020 3.792 -4.393 0.4011
H 2.144 5.613 -3.000 0.3771
H 1.419 6.462 -0.820 0.4381
H 1.360 4.935 1.155 0.4119
H 1.962 2.580 0.912 -0.0744
N 0.335 -0.646 3.836 0.3782
C 0.439 -0.607 5.174 -0.3545
C -0.036 0.623 5.571 -0.9003
C -0.412 1.249 4.364 -0.4359
N -0.161 0.479 3.313 0.0335
H 0.550 -1.403 3.199 -0.1165
H 0.833 -1.439 5.735 0.4572
H -0.112 1.008 6.575 0.3850
H -0.833 2.234 4.223 0.4470
```



(2)
# C7H9O2

2 unconnected molecules or ions with the total composition C7H9O2 at a distorted geometry (ωB97M-V/def2-TZVPD, OMol25).

Results
LUMO level (spin up / spin down) = -5.47 / -5.61 eV
Max |F| = 5.6 eV/Å
Energy above the lowest of the compared OMol25 structures with the same formula, charge and spin = 96.85 kcal/mol
Charge = +1
E = -422.09091 hartree

XYZ file:
********
**Reply:**
LUMO level (spin up / spin down) = 3.83 / 3.83 eV
Max |F| = 0.6 eV/Å
LUMO level (spin up / spin down) = -5.47 / -5.61 eV
Max |F| = 5.6 eV/Å